By Miriam Bernard

### Between two parts of the entry: data records
-- begin --
First-principles (GGA-PBE) data for crystalline InCuNiSe3 at its relaxed geometry, as listed in the Materials Project.

Unit cell a=8.0245 b=24.1348 c=11.3913 alpha=90.00 beta=90.07 gamma=90.00
Space group Cc (No. 9)
Symmetry-distinct sites (fractional):
In  0.0000  0.0800  0.0000 [4 per cell]
In  0.0084  0.4171  0.9910 [4 per cell]
In  0.2502  0.1662  0.7447 [4 per cell]
In  0.4925  0.2527  0.9947 [4 per cell]
Cu  0.9999  0.4195  0.4984 [4 per cell]
Cu  0.0073  0.2527  0.9947 [4 per cell]
Cu  0.2506  0.1665  0.2454 [4 per cell]
Cu  0.4928  0.4169  0.9925 [4 per cell]
Ni  0.2496  0.3365  0.7471 [4 per cell]
Ni  0.2501  0.4996  0.2452 [4 per cell]
Ni  0.2507  0.0022  0.2513 [4 per cell]
Ni  0.2507  0.3343  0.2372 [4 per cell]
Se  0.0020  0.4937  0.3538 [4 per cell]
Se  0.0056  0.3277  0.8586 [4 per cell]
Se  0.0252  0.3401  0.3700 [4 per cell]
Se  0.2324  0.0738  0.6212 [4 per cell]
Se  0.2322  0.2513  0.1326 [4 per cell]
Se  0.2319  0.4183  0.6378 [4 per cell]
Se  0.2679  0.2590  0.6230 [4 per cell]
Se  0.2691  0.0819  0.1325 [4 per cell]
Se  0.2692  0.4178  0.1358 [4 per cell]
Se  0.4764  0.3281  0.3697 [4 per cell]
Se  0.4948  0.3404  0.8585 [4 per cell]
Se  0.4983  0.4939  0.8533 [4 per cell]

Summary:
- Total DFT energy (no corrections): -4.157 eV per atom
- ΔH_f (0 K): -0.540 eV per atom

=====

First-principles (PBE) data for a relaxed structure of Mg4AlSi6, as listed in Materials Project.

```
11
Lattice="1.8379 8.1734 0.0000 -1.8379 8.1734 0.0000 0.0000 0.2457 6.7301" Properties=species:S:1:pos:R:3 pbc="T T T"
Si 0.0000 3.2084 2.3165
Si 0.0000 3.6364 4.7814
Si 0.0000 12.9561 1.9487
Si 0.0000 13.3840 4.4136
Si 0.0000 15.6952 5.0839
Si 0.0000 0.8972 1.6462
-- stop --

New backpacks, crisp books, and freshly sharpened pencils abound – it’s back-to-school season! As students prepare to head back into the classroom this month, we know that for families with special needs, the process can induce fear, stress, or anxiety. It’s our desire to make this transition smoother by sharing NODCC resources to help you and your family navigate the school year, and offer the best tools to assist you. We hope these links, videos, and articles provide you with an arsenal of strategies to make it your family’s best school year yet!

Resources for Families:

Webinar: 10 Things to Know Through the School Years
By Kimberly Oren, MEd 
This 90-minute presentation explores common school-related challenges that many parents of children with disabilities face during the K-12 years. Topics include discussions on public vs private schools, interpreting IEPs and 504 plans, as well as evaluation options and transition tips. The first half of this presentation will highlight your rights and protections under 504 and IDEA along with embedded examples from a DCC parent’s perspective.

Article: Back-to-School Tips
By Tricia Funk (from August 2023)
This article from our blog archive gives a great overview of navigating school challenges, and easing parent’s anxieties.

Article: Back to School
By Kimberly Oren, MEd 
Another fantastic piece by a frequent NODCC contributor and parent of special needs children who knows how to maneuver through the many challenges. Bonus: the piece concludes with education-related suggestions from other NODCC community members.

Article: Surviving the Difficult Parent-Teacher Conference 
By Laurie Fry
A successful parent-teacher conference can set the foundation for a successful year, and this article gives tips from real educators regarding what makes them go well – or not!

Additional resources can also be found on the NODCC website at

Resources for Teachers: 

Webinar: Teaching Kids with DCC – What Educators Need to Know
Is your child starting at a new school or with a new teacher this year? Feel free to pass along this outstanding webinar to your DCC family member’s educators.
Moderator: Deona Kalala, NODCC Board Member 2023-2026
Panelists: Heather Will (Admin of ACC Babies Support Groups), Kimberly Oren, MEd, Barbara Fonseca (NODCC Founder & Managing Director), Kathe Gee (NODCC Board Member 2017-2023)
This webinar is tailored specifically for educators seeking to enhance their understanding and support for children with disorders of the corpus callosum (DCC). This webinar provides essential knowledge and practical strategies to empower educators, administrators, service providers, and (of course!) parents in effectively teaching and accommodating students with DCC.

Article: Support and Resources for Educators
Learning Disabilities Association of America
This is a hub for educators that contains dozens of links, sites, and resources for educators of children and adults with learning disabilities. Articles include:

  • How Teachers Can Help Students with Learning Disabilities
  • An IEP Meeting Guide for Educators
  • An Educator’s Guide to Easing Anxiety in the Classroom
  • Nonverbal Learning Disabilities
  • Teaching Adults with Learning Disabilities
  • Many many more

Access them all here!

No matter your family’s learning environment, we at the NODCC hope this upcoming school year is one of new growth, discovery, learning, and fun!